It remains to echo the part of the notes underneath that starts with the line with "0.6875 0.3107" and stops after the one with "0.1345".
Record 1
This record from the Materials Project database describes a geometry-optimized Mo3H12C4NO10 structure. The functional is meta-GGA r2SCAN.

Properties
Spin magnetization ... 1.00 μB/f.u.
DFT formation energy ... -0.937 eV per atom

Unit cell a=10.0066 b=10.0066 c=10.0066 alpha=120.73 beta=120.73 gamma=88.73
With the nearest neighbours (Å) after each atom.
Fractional positions:
1 Mo 0.1624 0.1624 0.0000  1 O 1.67
2 Mo 0.1662 0.1662 0.3324  1 O 1.68
3 Mo 0.1662 0.8338 0.0000  1 O 1.68
4 Mo 0.8338 0.1662 0.0000  1 O 1.68
5 Mo 0.8338 0.8338 0.6676  1 O 1.68
6 Mo 0.8376 0.8376 0.0000  1 O 1.67
7 H 0.0218 0.7340 0.2879  1 C 1.09
8 H 0.0249 0.5557 0.2887  1 C 1.09
9 H 0.0249 0.7362 0.4693  1 C 1.09
10 H 0.2638 0.7330 0.2887  1 C 1.09
11 H 0.2638 0.9751 0.5307  1 C 1.09
12 H 0.2660 0.5539 0.2879  1 C 1.09
13 H 0.2660 0.9782 0.7121  1 C 1.09
14 H 0.2670 0.5557 0.5307  1 C 1.09
15 H 0.2670 0.7362 0.7113  1 C 1.09
16 H 0.4443 0.7330 0.4693  1 C 1.09
17 H 0.4443 0.9751 0.7113  1 C 1.09
18 H 0.4461 0.7340 0.7121  1 C 1.09
19 H 0.5539 0.2660 0.2879  1 C 1.09
20 H 0.5557 0.0249 0.2887  1 C 1.09
21 H 0.5557 0.2670 0.5307  1 C 1.09
22 H 0.7330 0.2638 0.2887  1 C 1.09
23 H 0.7330 0.4443 0.4693  1 C 1.09
24 H 0.7340 0.0218 0.2879  1 C 1.09
25 H 0.7340 0.4461 0.7121  1 C 1.09
26 H 0.7362 0.0249 0.4693  1 C 1.09
27 H 0.7362 0.2670 0.7113  1 C 1.09
28 H 0.9751 0.2638 0.5307  1 C 1.09
29 H 0.9751 0.4443 0.7113  1 C 1.09
30 H 0.9782 0.2660 0.7121  1 C 1.09
31 C 0.0660 0.6893 0.3768  3 H 1.09
32 C 0.3107 0.6875 0.3768  3 H 1.09
33 C 0.3107 0.9340 0.6232  3 H 1.09
34 C 0.3125 0.6893 0.6232  3 H 1.09
35 C 0.6875 0.3107 0.3768  3 H 1.09
36 C 0.6893 0.0660 0.3768  3 H 1.09
37 C 0.6893 0.3125 0.6232  3 H 1.09
38 C 0.9340 0.3107 0.6232  3 H 1.09
39 N 0.2500 0.7500 0.5000  4 C 1.50
40 N 0.7500 0.2500 0.5000  4 C 1.50
41 O 0.0000 0.0000 0.0000  6 Mo 2.32-2.33
42 O 0.0000 0.2677 0.2677  2 Mo 1.93
43 O 0.0000 0.7323 0.7323  2 Mo 1.93
44 O 0.0030 0.0030 0.2680  2 Mo 1.93
45 O 0.0030 0.7350 0.0000  2 Mo 1.93
46 O 0.2650 0.2650 0.2680  2 Mo 1.93
47 O 0.2650 0.9970 0.0000  2 Mo 1.93
48 O 0.2677 0.0000 0.2677  2 Mo 1.93
49 O 0.2795 0.2795 0.0000  1 Mo 1.67
50 O 0.2861 0.2861 0.5721  1 Mo 1.68
51 O 0.2861 0.7139 0.0000  1 Mo 1.68
52 O 0.5000 0.5000 0.0000  6 O 2.99-3.15
53 O 0.7139 0.2861 0.0000  1 Mo 1.68
54 O 0.7139 0.7139 0.4279  1 Mo 1.68
55 O 0.7205 0.7205 0.0000  1 Mo 1.67
56 O 0.7323 0.0000 0.7323  2 Mo 1.93
57 O 0.7350 0.0030 0.0000  2 Mo 1.93
58 O 0.7350 0.7350 0.7320  2 Mo 1.93
59 O 0.9970 0.2650 0.0000  2 Mo 1.93
60 O 0.9970 0.9970 0.7320  2 Mo 1.93

Record 2
This record from the Materials Project database describes a geometry-optimized YbFe2Si2 structure. The functional is meta-GGA r2SCAN.

Properties
Spin magnetization ... 0.00 μB/f.u.
DFT formation energy ... -0.502 eV per atom

Unit cell a=3.9157 b=3.9157 c=9.3134 alpha=90.00 beta=90.00 gamma=90.00
With the nearest neighbours (Å) after each atom.
Fractional positions:
1 Yb 0.0000 0.0000 0.0000  8 Si 3.04, 8 Fe 3.04
2 Yb 0.5000 0.5000 0.5000  8 Si 3.04, 8 Fe 3.04
3 Fe 0.0000 0.5000 0.2500  4 Si 2.23
4 Fe 0.0000 0.5000 0.7500  4 Si 2.23
5 Fe 0.5000 0.0000 0.2500  4 Si 2.23
6 Fe 0.5000 0.0000 0.7500  4 Si 2.23
7 Si 0.0000 0.0000 0.3655  4 Fe 2.23
8 Si 0.0000 0.0000 0.6345  4 Fe 2.23
9 Si 0.5000 0.5000 0.1345  4 Fe 2.23
10 Si 0.5000 0.5000 0.8655  4 Fe 2.23

Record 3
This record from the Materials Project database describes a geometry-optimized Yb2TiCuO6 structure. The functional is meta-GGA r2SCAN.

Properties
Spin magnetization ... 1.25 μB/f.u.
DFT formation energy ... -3.055 eV per atom

Unit cell a=3.5194 b=3.5194 c=11.2576 alpha=90.00 beta=90.00 gamma=120.00
With the nearest neighbours (Å) after each atom.
Fractional positions:
1 Yb 0.0000 0.0000 0.2258  6 O 2.13-2.37
2 Yb 0.0000 0.0000 0.7742  6 O 2.13-2.37
3 Ti 0.3333 0.6667 0.5000  5 O 1.87-2.03
4 Cu 0.6667 0.3333 0.0000  5 O 1.90-2.03
5 O 0.0000 0.0000 0.0000  3 Cu 2.03
6 O 0.0000 0.0000 0.5000  3 Ti 2.03
35 C 0.6875 0.3107 0.3768  3 H 1.09
36 C 0.6893 0.0660 0.3768  3 H 1.09
37 C 0.6893 0.3125 0.6232  3 H 1.09
38 C 0.9340 0.3107 0.6232  3 H 1.09
39 N 0.2500 0.7500 0.5000  4 C 1.50
40 N 0.7500 0.2500 0.5000  4 C 1.50
41 O 0.0000 0.0000 0.0000  6 Mo 2.32-2.33
42 O 0.0000 0.2677 0.2677  2 Mo 1.93
43 O 0.0000 0.7323 0.7323  2 Mo 1.93
44 O 0.0030 0.0030 0.2680  2 Mo 1.93
45 O 0.0030 0.7350 0.0000  2 Mo 1.93
46 O 0.2650 0.2650 0.2680  2 Mo 1.93
47 O 0.2650 0.9970 0.0000  2 Mo 1.93
48 O 0.2677 0.0000 0.2677  2 Mo 1.93
49 O 0.2795 0.2795 0.0000  1 Mo 1.67
50 O 0.2861 0.2861 0.5721  1 Mo 1.68
51 O 0.2861 0.7139 0.0000  1 Mo 1.68
52 O 0.5000 0.5000 0.0000  6 O 2.99-3.15
53 O 0.7139 0.2861 0.0000  1 Mo 1.68
54 O 0.7139 0.7139 0.4279  1 Mo 1.68
55 O 0.7205 0.7205 0.0000  1 Mo 1.67
56 O 0.7323 0.0000 0.7323  2 Mo 1.93
57 O 0.7350 0.0030 0.0000  2 Mo 1.93
58 O 0.7350 0.7350 0.7320  2 Mo 1.93
59 O 0.9970 0.2650 0.0000  2 Mo 1.93
60 O 0.9970 0.9970 0.7320  2 Mo 1.93

Record 2
This record from the Materials Project database describes a geometry-optimized YbFe2Si2 structure. The functional is meta-GGA r2SCAN.

Properties
Spin magnetization ... 0.00 μB/f.u.
DFT formation energy ... -0.502 eV per atom

Unit cell a=3.9157 b=3.9157 c=9.3134 alpha=90.00 beta=90.00 gamma=90.00
With the nearest neighbours (Å) after each atom.
Fractional positions:
1 Yb 0.0000 0.0000 0.0000  8 Si 3.04, 8 Fe 3.04
2 Yb 0.5000 0.5000 0.5000  8 Si 3.04, 8 Fe 3.04
3 Fe 0.0000 0.5000 0.2500  4 Si 2.23
4 Fe 0.0000 0.5000 0.7500  4 Si 2.23
5 Fe 0.5000 0.0000 0.2500  4 Si 2.23
6 Fe 0.5000 0.0000 0.7500  4 Si 2.23
7 Si 0.0000 0.0000 0.3655  4 Fe 2.23
8 Si 0.0000 0.0000 0.6345  4 Fe 2.23
9 Si 0.5000 0.5000 0.1345  4 Fe 2.23